Work order:
Next, copy the lines below up to the one that holds "-1.11 -2.81", that line included.

Input:
<<<
Entry 1:
This record from the Open Molecules 2025 dataset describes a cluster of 8 separate species, C14H46Cl2N5O10 in total. The level of theory is ωB97M-V/def2-TZVPD.

Its energy above the lowest of the compared OMol25 structures with the same formula, charge and spin is 2.170 eV. The value obtained for the HOMO energy is -3.78 eV. The gap between HOMO and LUMO is 5.6 eV. As for the charge: -1.

Atoms and positions in Å:
1 N -0.90 -0.15 0.66
2 H -0.20 -0.38 -0.04
3 H -1.27 -1.04 0.95
4 H -1.67 0.40 0.30
5 H -0.38 0.28 1.41
6 N -4.78 -2.34 1.53
7 H -3.79 -2.40 1.73
8 H -5.11 -3.16 1.03
9 H -4.91 -1.54 0.92
10 H -5.35 -2.11 2.33
11 N -1.48 -4.23 -1.09
12 H -2.19 -4.78 -1.55
13 H -0.84 -3.71 -1.68
14 H -0.95 -4.82 -0.47
15 H -1.82 -3.58 -0.40
16 O -0.53 -5.70 1.00
17 C -0.41 -4.73 2.09
18 C -1.51 -3.50 2.27
19 O -2.00 -2.68 1.19
20 H 0.58 -4.28 2.06
21 H -0.39 -5.25 3.04
22 H -1.11 -2.81 3.02
23 H -2.43 -3.94 2.66
24 Cl 1.65 -2.24 -1.69
25 O 1.93 -3.14 -0.68
26 O 2.78 -2.00 -2.49
27 O 0.58 -2.69 -2.54
28 O 1.34 -0.98 -1.10
29 Cl -4.23 1.01 -0.32
30 O -2.92 1.45 -0.66
31 O -5.19 1.89 -0.95
32 O -4.49 -0.30 -0.72
33 O -4.36 1.02 1.13
34 C -1.27 1.48 3.60
35 C 0.19 1.86 3.36
36 N 0.82 0.89 2.54
37 C 2.06 1.47 1.97
38 C 3.13 1.92 2.96
39 C 1.07 -0.39 3.20
40 C 1.79 -1.50 2.39
41 H -1.78 1.33 2.65
42 H -1.73 2.21 4.27
43 H -1.37 0.60 4.23
44 H 0.25 2.84 2.90
45 H 0.67 2.04 4.32
46 H 2.44 0.75 1.24
47 H 1.83 2.26 1.25
48 H 3.42 1.09 3.61
49 H 4.07 2.21 2.48
50 H 2.75 2.76 3.54
51 H 0.15 -0.89 3.51
52 H 1.50 -0.20 4.18
53 H 1.29 -1.60 1.43
54 H 1.62 -2.41 2.96
55 H 2.86 -1.28 2.29
56 C 0.72 2.78 -1.37
57 C 0.17 2.97 -2.76
58 N 1.17 2.74 -3.77
59 C 2.22 3.77 -3.85
60 C 2.87 3.78 -5.23
61 C 1.68 1.34 -3.82
62 C 0.57 0.41 -4.29
63 H 1.44 1.97 -1.24
64 H -0.08 2.63 -0.64
65 H 1.26 3.63 -0.97
66 H -0.78 2.47 -2.95
67 H -0.12 4.02 -2.73
68 H 1.82 4.74 -3.55
69 H 3.01 3.60 -3.13
70 H 2.12 3.88 -6.02
71 H 3.54 4.63 -5.34
72 H 3.51 2.94 -5.48
73 H 2.21 0.96 -2.94
74 H 2.44 1.30 -4.60
75 H 0.04 0.70 -5.20
76 H -0.15 0.29 -3.47
77 H 0.95 -0.59 -4.48

Results of the Löwdin charge analysis, in e, for atoms 1 through 6:
1. N 0.31
2. H 0.08
3. H 0.06
4. H 0.06
5. H 0.05
6. N 0.32

---

Entry 2:
This record from the Open Molecules 2025 dataset describes an isolated molecule of C4H8OS. The level of theory is ωB97M-V/def2-TZVPD.

Its energy above the lowest of the compared OMol25 structures with the same formula, charge and spin is 4.325 eV. The value obtained for the HOMO energy is -9.03 eV. The gap between HOMO and LUMO is 9.8 eV.

Atoms and positions in Å:
1 C -1.10 0.56 0.34
2 C -0.27 -0.67 0.30
3 C 1.11 -0.62 -0.05
4 C 1.71 0.51 -0.52
5 H -1.19 2.23 0.45
6 H -1.46 0.82 -0.71
7 H -2.18 0.04 0.80
8 H 0.00 -0.81 1.47
9 H -0.53 -2.50 -1.47
10 H 1.88 -1.29 0.44
11 H 0.90 1.23 -0.69
12 H 2.87 0.84 -0.81
13 O -0.40 1.73 0.70
14 S -1.35 -2.08 -0.26

Results of the Löwdin charge analysis, in e, for atoms 1 through 6:
1. C -0.39
2. C -0.75
3. C -0.28
4. C 0.01
5. H 0.10
6. H 0.13

---

Entry 3:
This record from the Open Molecules 2025 dataset describes the ion C7H19BN with charge +1. The level of theory is ωB97M-V/def2-TZVPD.

Its energy above the lowest of the compared OMol25 structures with the same formula, charge and spin is 1.089 eV. The value obtained for the HOMO energy is -14.10 eV. The gap between HOMO and LUMO is 11.1 eV. As for the charge: +1.

Atoms and positions in Å:
1 B -1.59 -0.09 0.03
2 C -2.52 0.65 -0.93
3 C -2.04 -1.25 0.92
4 C 0.90 2.62 0.86
5 C 2.28 -1.13 0.27
6 C 0.46 -1.39 -1.38
7 C 0.76 1.59 -0.15
8 C 0.18 0.26 0.42
9 N 0.82 -0.99 -0.05
10 H -2.31 0.29 -1.90
11 H -2.26 1.73 -0.96
12 H -3.51 0.32 -0.68
13 H -1.27 -1.43 1.79
14 H -1.85 -2.28 0.56
15 H -3.04 -1.34 1.19
16 H 1.64 2.31 1.63
17 H 1.24 3.56 0.59
18 H -0.09 2.68 1.23
19 H 2.50 -0.67 1.23
20 H 2.79 -2.14 0.17
21 H 2.82 -0.51 -0.48
22 H -0.57 -1.51 -1.41
23 H 0.99 -0.72 -1.99
24 H 0.93 -2.37 -1.65
25 H 1.78 1.27 -0.54
26 H 0.16 1.90 -0.96
27 H 0.22 0.33 1.60
>>>

Result:
Entry 1:
This record from the Open Molecules 2025 dataset describes a cluster of 8 separate species, C14H46Cl2N5O10 in total. The level of theory is ωB97M-V/def2-TZVPD.

Its energy above the lowest of the compared OMol25 structures with the same formula, charge and spin is 2.170 eV. The value obtained for the HOMO energy is -3.78 eV. The gap between HOMO and LUMO is 5.6 eV. As for the charge: -1.

Atoms and positions in Å:
1 N -0.90 -0.15 0.66
2 H -0.20 -0.38 -0.04
3 H -1.27 -1.04 0.95
4 H -1.67 0.40 0.30
5 H -0.38 0.28 1.41
6 N -4.78 -2.34 1.53
7 H -3.79 -2.40 1.73
8 H -5.11 -3.16 1.03
9 H -4.91 -1.54 0.92
10 H -5.35 -2.11 2.33
11 N -1.48 -4.23 -1.09
12 H -2.19 -4.78 -1.55
13 H -0.84 -3.71 -1.68
14 H -0.95 -4.82 -0.47
15 H -1.82 -3.58 -0.40
16 O -0.53 -5.70 1.00
17 C -0.41 -4.73 2.09
18 C -1.51 -3.50 2.27
19 O -2.00 -2.68 1.19
20 H 0.58 -4.28 2.06
21 H -0.39 -5.25 3.04
22 H -1.11 -2.81 3.02